### Input
PrH8C2S2I3N4O9: calculated X-ray diffraction stick pattern (Cu Kα X-rays), based on DFT lattice parameters and positions (PBE).
Peak positions follow from Bragg's law for the DFT cell and can differ from measured ones.

Principal peaks in the range 10° ≤ 2θ ≤ 90°, sorted by position:
10.32 deg, I = 25.0; 12.10 deg, I = 100.0; 13.77 deg, I = 43.1; 15.90 deg, I = 35.6; 21.99 deg, I = 67.1; 23.48 deg, I = 86.9; 23.57 deg, I = 41.5; 24.36 deg, I = 34.0; 25.40 deg, I = 52.9; 28.87 deg, I = 33.3; 32.11 deg, I = 45.3; 36.65 deg, I = 25.2

```
PrH8C2S2I3N4O9
1.0
10.0149 -4.0426 0.0000
10.0149 4.0426 0.0000
-6.7295 0.0000 11.1467
Pr H C S I N O
2 16 4 4 6 8 18
Direct
0.1152 0.8848 0.7500
0.8848 0.1152 0.2500
0.0702 0.2685 0.9800
0.0786 0.4417 0.0951
0.1293 0.3642 0.7582
0.2238 0.4535 0.7716
0.2685 0.0702 0.4800
0.3642 0.1293 0.2582
0.4417 0.0786 0.5951
0.4535 0.2238 0.2716
0.5465 0.7762 0.7284
0.5583 0.9214 0.4049
0.6358 0.8707 0.7418
0.7315 0.9298 0.5200
0.7762 0.5465 0.2284
0.8707 0.6358 0.2418
0.9214 0.5583 0.9049
0.9298 0.7315 0.0200
0.0916 0.5796 0.9000
0.4204 0.9084 0.6000
0.5796 0.0916 0.4000
0.9084 0.4204 0.1000
0.1634 0.7245 0.9814
0.2755 0.8366 0.5186
0.7245 0.1634 0.4814
0.8366 0.2755 0.0186
0.0000 0.5000 0.5000
0.1125 0.6782 0.2613
0.3218 0.8875 0.2387
0.5000 0.0000 0.0000
0.6782 0.1125 0.7613
0.8875 0.3218 0.7387
0.0244 0.3768 0.0555
0.1634 0.4469 0.8080
0.3768 0.0244 0.5555
0.4469 0.1634 0.3080
0.5531 0.8366 0.6920
0.6232 0.9756 0.4445
0.8366 0.5531 0.1920
0.9756 0.6232 0.9445
0.0141 0.1035 0.9828
0.1035 0.0141 0.4828
0.1204 0.1480 0.8316
0.1480 0.1204 0.3316
0.1645 0.5675 0.6010
0.1957 0.7145 0.8745
0.2188 0.7812 0.2500
0.2855 0.8043 0.6255
0.4325 0.8355 0.8990
0.5675 0.1645 0.1010
0.7145 0.1957 0.3745
0.7812 0.2188 0.7500
0.8043 0.2855 0.1255
0.8355 0.4325 0.3990
0.8520 0.8796 0.6684
0.8796 0.8520 0.1684
0.8965 0.9859 0.5172
0.9859 0.8965 0.0172
```

* * * * *

[1]
Theoretical X-ray powder pattern
Compound: TaMo5W2
Radiation: λ = 1.5418 Å (Cu Kα)
Structure: the GGA-PBE geometry in Alexandria

Top 6 peaks for 10 to 80 degrees two-theta, in order of rising 2θ:
2θ/deg, I_rel
19.0, 18
40.4, 34
40.6, 100
40.9, 65
58.6, 22
73.6, 23

Structure:
```
data_TaMo5W2
_space_group_name_H-M_alt 'P 1'
_space_group_IT_number 1
_cell_length_a 6.8513
_cell_length_b 6.8513
_cell_length_c 5.1501
_cell_angle_alpha 109.82
_cell_angle_beta 109.82
_cell_angle_gamma 38.06
loop_
_space_group_symop_operation_xyz
'x,y,z'
loop_
_atom_site_label
_atom_site_fract_x
_atom_site_fract_y
_atom_site_fract_z
Ta1 0.0000 0.0000 0.0000
Mo1 0.2189 0.2189 0.1175
Mo2 0.4401 0.4401 0.2235
Mo3 0.5546 0.5546 0.7667
Mo4 0.7735 0.7735 0.8845
Mo5 0.8878 0.8878 0.4416
W1 0.3258 0.3258 0.6617
W2 0.6630 0.6630 0.3342
```

[2]
Theoretical X-ray powder pattern
Compound: SmTmN
Radiation: λ = 1.5418 Å (Cu Kα)
Structure: the GGA-PBE geometry in Alexandria

Top 6 peaks for 10 to 80 degrees two-theta, in order of rising 2θ:
2θ/deg, I_rel
29.7, 34
31.1, 100
35.7, 80
50.4, 26
52.2, 28
61.2, 28

Structure:
```
data_SmTmN
_space_group_name_H-M_alt 'P 1'
_space_group_IT_number 1
_cell_length_a 6.3446
_cell_length_b 6.3446
_cell_length_c 6.3446
_cell_angle_alpha 32.06
_cell_angle_beta 32.06
_cell_angle_gamma 32.06
loop_
_space_group_symop_operation_xyz
'x,y,z'
loop_
_atom_site_label
_atom_site_fract_x
_atom_site_fract_y
_atom_site_fract_z
Sm1 0.0000 0.0000 0.0000
Tm1 0.5167 0.5167 0.5167
N1 0.2474 0.2474 0.2474
```

[3]
Theoretical X-ray powder pattern
Compound: Ta4NbMo3
Radiation: λ = 1.5418 Å (Cu Kα)
Structure: the GGA-PBE geometry in Alexandria

Top 6 peaks for 10 to 80 degrees two-theta, in order of rising 2θ:
2θ/deg, I_rel
27.4, 11
39.2, 100
48.5, 3
56.6, 17
64.1, 4
71.0, 34

Structure:
```
data_Ta4NbMo3
_space_group_name_H-M_alt 'P 1'
_space_group_IT_number 1
_cell_length_a 3.2484
_cell_length_b 4.5953
_cell_length_c 9.2008
_cell_angle_alpha 90.00
_cell_angle_beta 90.00
_cell_angle_gamma 90.00
loop_
_space_group_symop_operation_xyz
'x,y,z'
loop_
_atom_site_label

### Request
Set down everything further above without altering anything.

### Outcome
PrH8C2S2I3N4O9: calculated X-ray diffraction stick pattern (Cu Kα X-rays), based on DFT lattice parameters and positions (PBE).
Peak positions follow from Bragg's law for the DFT cell and can differ from measured ones.

Principal peaks in the range 10° ≤ 2θ ≤ 90°, sorted by position:
10.32 deg, I = 25.0; 12.10 deg, I = 100.0; 13.77 deg, I = 43.1; 15.90 deg, I = 35.6; 21.99 deg, I = 67.1; 23.48 deg, I = 86.9; 23.57 deg, I = 41.5; 24.36 deg, I = 34.0; 25.40 deg, I = 52.9; 28.87 deg, I = 33.3; 32.11 deg, I = 45.3; 36.65 deg, I = 25.2

```
PrH8C2S2I3N4O9
1.0
10.0149 -4.0426 0.0000
10.0149 4.0426 0.0000
-6.7295 0.0000 11.1467
Pr H C S I N O
2 16 4 4 6 8 18
Direct
0.1152 0.8848 0.7500
0.8848 0.1152 0.2500
0.0702 0.2685 0.9800
0.0786 0.4417 0.0951
0.1293 0.3642 0.7582
0.2238 0.4535 0.7716
0.2685 0.0702 0.4800
0.3642 0.1293 0.2582
0.4417 0.0786 0.5951
0.4535 0.2238 0.2716
0.5465 0.7762 0.7284
0.5583 0.9214 0.4049
0.6358 0.8707 0.7418
0.7315 0.9298 0.5200
0.7762 0.5465 0.2284
0.8707 0.6358 0.2418
0.9214 0.5583 0.9049
0.9298 0.7315 0.0200
0.0916 0.5796 0.9000
0.4204 0.9084 0.6000
0.5796 0.0916 0.4000
0.9084 0.4204 0.1000
0.1634 0.7245 0.9814
0.2755 0.8366 0.5186
0.7245 0.1634 0.4814
0.8366 0.2755 0.0186
0.0000 0.5000 0.5000
0.1125 0.6782 0.2613
0.3218 0.8875 0.2387
0.5000 0.0000 0.0000
0.6782 0.1125 0.7613
0.8875 0.3218 0.7387
0.0244 0.3768 0.0555
0.1634 0.4469 0.8080
0.3768 0.0244 0.5555
0.4469 0.1634 0.3080
0.5531 0.8366 0.6920
0.6232 0.9756 0.4445
0.8366 0.5531 0.1920
0.9756 0.6232 0.9445
0.0141 0.1035 0.9828
0.1035 0.0141 0.4828
0.1204 0.1480 0.8316
0.1480 0.1204 0.3316
0.1645 0.5675 0.6010
0.1957 0.7145 0.8745
0.2188 0.7812 0.2500
0.2855 0.8043 0.6255
0.4325 0.8355 0.8990
0.5675 0.1645 0.1010
0.7145 0.1957 0.3745
0.7812 0.2188 0.7500
0.8043 0.2855 0.1255
0.8355 0.4325 0.3990
0.8520 0.8796 0.6684
0.8796 0.8520 0.1684
0.8965 0.9859 0.5172
0.9859 0.8965 0.0172
```

* * * * *

[1]
Theoretical X-ray powder pattern
Compound: TaMo5W2
Radiation: λ = 1.5418 Å (Cu Kα)
Structure: the GGA-PBE geometry in Alexandria

Top 6 peaks for 10 to 80 degrees two-theta, in order of rising 2θ:
2θ/deg, I_rel
19.0, 18
40.4, 34
40.6, 100
40.9, 65
58.6, 22
73.6, 23

Structure:
```
data_TaMo5W2
_space_group_name_H-M_alt 'P 1'
_space_group_IT_number 1
_cell_length_a 6.8513
_cell_length_b 6.8513
_cell_length_c 5.1501
_cell_angle_alpha 109.82
_cell_angle_beta 109.82
_cell_angle_gamma 38.06
loop_
_space_group_symop_operation_xyz
'x,y,z'
loop_
_atom_site_label
_atom_site_fract_x
_atom_site_fract_y
_atom_site_fract_z
Ta1 0.0000 0.0000 0.0000
Mo1 0.2189 0.2189 0.1175
Mo2 0.4401 0.4401 0.2235
Mo3 0.5546 0.5546 0.7667
Mo4 0.7735 0.7735 0.8845
Mo5 0.8878 0.8878 0.4416
W1 0.3258 0.3258 0.6617
W2 0.6630 0.6630 0.3342
```

[2]
Theoretical X-ray powder pattern
Compound: SmTmN
Radiation: λ = 1.5418 Å (Cu Kα)
Structure: the GGA-PBE geometry in Alexandria

Top 6 peaks for 10 to 80 degrees two-theta, in order of rising 2θ:
2θ/deg, I_rel
29.7, 34
31.1, 100
35.7, 80
50.4, 26
52.2, 28
61.2, 28

Structure:
```
data_SmTmN
_space_group_name_H-M_alt 'P 1'
_space_group_IT_number 1
_cell_length_a 6.3446
_cell_length_b 6.3446
_cell_length_c 6.3446
_cell_angle_alpha 32.06
_cell_angle_beta 32.06
_cell_angle_gamma 32.06
loop_
_space_group_symop_operation_xyz
'x,y,z'
loop_
_atom_site_label
_atom_site_fract_x
_atom_site_fract_y
_atom_site_fract_z
Sm1 0.0000 0.0000 0.0000
Tm1 0.5167 0.5167 0.5167
N1 0.2474 0.2474 0.2474
```

[3]
Theoretical X-ray powder pattern
Compound: Ta4NbMo3
Radiation: λ = 1.5418 Å (Cu Kα)
Structure: the GGA-PBE geometry in Alexandria

Top 6 peaks for 10 to 80 degrees two-theta, in order of rising 2θ:
2θ/deg, I_rel
27.4, 11
39.2, 100
48.5, 3
56.6, 17
64.1, 4
71.0, 34

Structure:
```
data_Ta4NbMo3
_space_group_name_H-M_alt 'P 1'
_space_group_IT_number 1
_cell_length_a 3.2484
_cell_length_b 4.5953
_cell_length_c 9.2008
_cell_angle_alpha 90.00
_cell_angle_beta 90.00
_cell_angle_gamma 90.00
loop_
_space_group_symop_operation_xyz
'x,y,z'
loop_
_atom_site_label